A 22.5-hour day

Recently I had the chance to be involved with a small-talk, side conversation with some senior spouses (O & E) and something started percolating around in my head (not too unlike the old Maxwell House coffee commercial showing the fresh perked coffee splashing inside that tiny little glass handle).  A smidge of the conversation involved how busy everyone was and all of the things that went into making everyone's day soooo busy.  Kids--to and from school plus after-school activities; family things--shopping, washing clothes, dry cleaners, trying to make nutritious meals without making daily trips to the commissary; church groups and the various clubs and committees there-in; and, support to their DH, not necessarily of DH in his job, simply the support of their DH, because he was dad, father, husband, bread-winner.

Recently I had the chance to be involved with a small-talk, side conversation with some senior spouses (O & E) and something started percolating around in my head (not too unlike the old Maxwell House coffee commercial showing the fresh perked coffee splashing inside that tiny little glass handle).  A smidge of the conversation involved how busy everyone was and all of the things that went into making everyone's day soooo busy.  Kids--to and from school plus after-school activities; family things--shopping, washing clothes, dry cleaners, trying to make nutritious meals without making daily trips to the commissary; church groups and the various clubs and committees there-in; and, support to their DH, not necessarily of DH in his job, simply the support of their DH, because he was dad, father, husband, bread-winner.

I asked what I consider of importance and have commented on in this venue a few times.  It basically went like this, "Since everyone is so busy, how do you reach out to the younger spouses, not just new in your unit, but new to our world, and see to their needs?"  The spontaneous answer was quite interesting ...

== Records of molecules, as found in the file ==
____________
# 1
105
Properties=species:S:1:pos:R:3:lowdin_charge:R:1 method="wB97M-V/def2-TZVPD" homo_ev=-1.881 lumo_ev=3.82 total_charge=-2 orbital_gap_ev=5.70
Tl 2.29 -1.49 -0.43 0.545
C 4.76 3.58 -0.97 -0.091
C 3.60 3.22 -0.10 -0.251
C 3.21 4.01 0.92 0.038
C 2.11 3.61 1.73 -0.222
N 1.48 2.51 1.48 0.171
N 1.85 1.69 0.48 0.025
B 0.98 0.41 0.52 -0.729
N -0.11 0.31 -0.53 -0.015
N -0.06 1.30 -1.44 0.181
C -0.77 1.19 -2.52 -0.226
C -1.62 0.07 -2.74 0.039
C -1.71 -0.90 -1.81 -0.255
C -2.51 -2.14 -2.04 -0.064
C -0.92 -0.79 -0.61 -0.658
S -0.95 -1.98 0.56 0.751
C -0.64 2.30 -3.56 -0.536
C -1.81 3.27 -3.38 -0.055
C 0.68 3.04 -3.37 -0.064
C -0.67 1.69 -4.96 -0.051
N 0.42 0.26 1.94 -0.049
N -0.86 0.65 2.00 0.141
C -1.52 0.57 3.10 -0.244
C -0.91 0.07 4.28 0.039
C 0.41 -0.26 4.26 -0.263
C 1.12 -0.78 5.46 -0.090
C 1.16 -0.09 3.03 -0.698
S 2.80 -0.30 2.94 0.641
C -2.96 1.09 3.04 -0.542
C -3.61 0.62 1.73 -0.054
C -2.92 2.62 3.07 -0.053
C -3.79 0.58 4.22 -0.070
C 2.87 1.99 -0.38 -0.635
S 3.30 1.04 -1.66 0.750
C 1.59 4.45 2.89 -0.541
C 0.62 5.50 2.34 -0.045
C 0.85 3.55 3.89 -0.049
C 2.75 5.14 3.62 -0.062
H 5.26 4.47 -0.58 0.071
H 4.43 3.76 -1.99 0.073
H 5.46 2.75 -1.02 0.072
H 3.75 4.93 1.13 0.108
H -2.15 -0.02 -3.68 0.117
H -3.00 -2.10 -3.01 0.080
H -3.26 -2.27 -1.25 0.067
H -1.85 -3.01 -1.99 0.063
H -1.77 3.74 -2.39 0.080
H -2.77 2.76 -3.48 0.076
H -1.76 4.06 -4.14 0.075
H 0.75 3.49 -2.38 0.073
H 0.76 3.83 -4.13 0.077
H 1.52 2.36 -3.48 0.059
H -1.67 1.35 -5.24 0.072
H 0.00 0.83 -5.03 0.078
H -0.37 2.44 -5.69 0.077
H -1.48 -0.06 5.19 0.105
H 0.42 -0.89 6.30 0.070
H 1.93 -0.10 5.74 0.065
H 1.59 -1.73 5.24 0.078
H -3.05 0.98 0.87 0.076
H -4.64 0.99 1.68 0.078
H -3.62 -0.47 1.67 0.076
H -2.35 2.99 2.22 0.080
H -2.45 2.98 3.98 0.078
H -3.94 3.03 3.02 0.078
H -3.78 -0.51 4.26 0.090
H -4.82 0.90 4.10 0.078
H -3.42 0.97 5.17 0.073
H -0.22 5.02 1.85 0.082
H 1.12 6.14 1.60 0.081
H 0.24 6.14 3.14 0.078
H 0.03 3.02 3.41 0.055
H 0.46 4.16 4.70 0.083
H 1.52 2.80 4.30 0.088
H 3.23 5.89 2.99 0.068
H 3.50 4.41 3.93 0.094
H 2.37 5.64 4.51 0.078
C -3.63 -7.77 -1.86 -0.072
C -2.34 -7.02 -1.68 -0.296
C -2.17 -6.13 -0.62 -0.047
C -0.97 -5.46 -0.44 -0.067
C 0.08 -5.67 -1.32 -0.260
C -0.07 -6.55 -2.38 -0.060
C -1.28 -7.22 -2.56 -0.060
S 1.58 -4.71 -1.13 0.483
O 1.81 -4.61 0.30 -0.357
O 2.58 -5.43 -1.90 -0.341
N 1.17 -3.29 -1.64 -0.283
C 0.97 -3.19 -3.08 -0.226
C 0.89 -1.73 -3.57 -0.697
O 0.44 -1.56 -4.72 -0.046
O 1.27 -0.85 -2.77 -0.161
H -4.44 -7.30 -1.30 0.066
H -3.55 -8.80 -1.51 0.072
H -3.92 -7.81 -2.91 0.069
H -2.99 -5.96 0.07 0.105
H -0.84 -4.74 0.36 0.067
H 0.76 -6.70 -3.06 0.106
H -1.40 -7.90 -3.39 0.102
H 0.02 -3.65 -3.38 0.107
H 1.76 -3.70 -3.66 0.095
I 5.18 -2.22 0.61 -0.178
N 4.25 -2.40 -3.71 0.145
C 3.87 -2.21 -2.62 -0.110
H 4.46 -2.70 -4.63 0.083



# 2
18
Properties=species:S:1:pos:R:3:nbo_charge:R:1 method="wB97M-V/def2-TZVPD" homo_ev=-8.377 lumo_ev=0.35 orbital_gap_ev=8.73 smiles=O.O.O.O.O.O
O -0.83 0.66 1.26 -0.873
H -0.06 0.66 1.84 0.426
H -0.43 0.34 0.50 0.474
____________

"They don't." And when I followed-up with, "Just how do the younger spouses know what to do and the protocols and the expectations, so that their pockets will have the tools they'll need to use to grow up to become, ... you?"  And the answer by committee was, "Somebody else will have to figure that one out because we don't have enough time."  I was floored, because I knew that wasn't the way they were brought up in our Service.  Fortunately for the most part, the gals I was talking to and the community of spouses they represent is only a segment of our spouse population.  But it's there.

(Attached: data records)
____________
(1)
C4H4ClNS in the gas phase in a non-equilibrium geometry. Source: OMol25; level of theory: the ωB97M-V functional and the def2-TZVPD basis.

Calculated values
HOMO = -8.88 eV
E_LUMO = 0.60 eV
Orbital gap = 9.48 eV
Energy relative to the best compared isomer or geometry (same formula, charge and spin) = 4.337 eV
SMILES = Cl[C@@H]1[C@@H]2C=NS[C@@H]12
2S+1 = 1

Each line ends with the natural charge from an NBO analysis.
Cartesian coordinates (Å):
Cl -0.19901 0.84769 -2.70932  0.0098
S -1.37870 -0.85281 1.28556  0.4755
N 0.15659 -1.57374 1.44270  -0.5550
C -0.82942 -0.15268 -0.23887  -0.4354
C 1.09303 -0.85681 0.82117  0.0849
C -0.37691 1.09472 -0.98216  -0.1522
C 0.49961 0.50801 0.16516  -0.3434
H -0.61624 2.07893 -0.77054  0.2368
H -0.66117 -1.04358 -0.88632  0.2322
H 2.19347 -1.17718 0.76540  0.2308
H 0.11876 1.12745 1.10722  0.2159


(2)
C4H4ClNS in the gas phase in a non-equilibrium geometry. Source: OMol25; level of theory: the ωB97M-V functional and the def2-TZVPD basis.

Calculated values
HOMO (spin up / spin down) = -8.55 / -8.55 eV
E_LUMO (spin up / spin down) = 0.18 / 0.18 eV
Orbital gap (spin up / spin down) = 8.73 / 8.73 eV
Energy relative to the best compared isomer or geometry (same formula, charge and spin) = 2.593 eV
2S+1 = 1

Each line ends with the natural charge from an NBO analysis.
Cartesian coordinates (Å):
Cl 2.49888 0.04369 0.66779  0.0408
S 0.36760 2.11507 -1.26394  0.1109
N -1.58514 -0.30963 -0.73992  -0.3251
C 0.85794 -0.19030 0.21041  -0.0590
C -1.36648 -0.84945 0.36664  -0.0169
C -0.04021 -0.83473 0.97070  -0.2626
C 0.39739 0.39190 -1.05425  -0.2872
H 0.23061 2.41342 0.02997  0.1267
H 0.19551 -1.33007 1.89748  0.2299
H -2.18165 -1.33556 0.89781  0.1917
H 0.62554 -0.11435 -1.98269  0.2508


(3)
A molecular structure, C4H4CoO5 in a non-equilibrium geometry. Source: OMol25; level of theory: the ωB97M-V functional and the def2-TZVPD basis.

Calculated values
HOMO (spin up / spin down) = -11.89 / -15.80 eV
E_LUMO (spin up / spin down) = -3.72 / -5.62 eV
Total charge = +1
Orbital gap (spin up / spin down) = 8.17 / 10.19 eV
Energy relative to the best compared isomer or geometry (same formula, charge and spin) = 0.000 eV
2S+1 = 5

Each line ends with the natural charge from an NBO analysis.
Cartesian coordinates (Å):
Co -0.85092 2.03445 3.00228  0.9472
O -2.46071 0.89558 2.25059  -0.6226
O -2.21980 -0.84467 0.69840  -0.4575
O 0.91624 -0.90031 0.36628  -0.4224
O -0.03917 0.83353 -0.57028  -0.4393
O -0.11320 0.60636 1.67317  -0.8307
C 0.08210 0.10087 0.51215  1.0386
C -2.27444 -0.08539 1.61780  1.0954
C 0.70518 0.24080 -1.65487  -0.1069
C 1.35895 -0.97779 -1.00405  -0.1078
H 1.00728 -1.92950 -1.41517  0.2241
H 1.43007 0.98257 -2.00520  0.2270
H 0.00606 -0.01418 -2.45668  0.2251
H 2.45237 -0.94234 -1.01442  0.2297


(4)
A molecular structure, C4H4CrLiO5 in a non-equilibrium geometry. Source: OMol25; level of theory: the ωB97M-V functional and the def2-TZVPD basis.

Calculated values
____________

When we can't make the time to bring along those new to the military way of life, then like any of the myriad gripes we have about the "next generation" just not getting it ... in this instance we just have to lay the blame on the obviously shortened 22.5-hour days.

Honest, I swear we used to have a solid 24-hours in each day.  I guess the only way anyone ever managed to do all of the things these ladies addressed as taking all of their time, AND STILL managed to help others, simply must be credited to having this longer, 24-hour day.

My heart goes out to their folks getting lost in the shortened day.  It really is too bad there's a segment of our spouse population that seems to only have a 22.5-hour day to work with.  Fortunately, most of us still have the full 24-hours to work with -- let's use it well.  Over & Out, MaintenanceToadOne